To do =
Please filter the entries further below: keep the lines with the word "Cl".

Excerpt =
____________
16
Properties=species:S:1:pos:R:3:lowdin_charge:R:1 method="wB97M-V/def2-TZVPD" charge=-1 homo_ev=-4.1 energy_ev=-10901.113 max_force_ha_per_bohr=0.0192 gap_ev=7.9664
C 0.084 1.200 2.066 -0.012
C -0.086 0.246 1.139 -0.453
N -1.259 -0.498 1.042 0.105
C 0.908 -0.169 0.100 -0.178
C 0.451 0.297 -1.299 -0.121
C -0.201 -0.912 -2.080 -0.778
O 0.523 -1.922 -2.165 -0.086
O -1.337 -0.696 -2.554 -0.096
H 1.066 1.656 2.112 0.032
H -0.647 1.420 2.830 0.029
H -2.126 -0.030 1.228 0.085
H -1.290 -1.167 0.294 0.080
H 1.936 0.122 0.335 0.103
H 0.950 -1.250 0.083 0.099
H 1.287 0.590 -1.937 0.096
H -0.260 1.114 -1.196 0.094



10
Properties=species:S:1:pos:R:3:lowdin_charge:R:1 method="wB97M-V/def2-TZVPD" charge=0 homo_ev=-8.7 energy_ev=-25313.272 max_force_ha_per_bohr=0.0796 gap_ev=8.8572
C 0.038 1.179 -0.092 -0.168
N -0.261 -0.299 -0.177 -0.689
S -1.825 -0.955 -0.157 0.734
C 0.916 -1.116 -0.194 -0.718
S 2.514 -0.695 -0.063 0.604
H -0.204 1.598 1.004 0.115
H 1.044 1.171 -0.600 0.009
H -0.771 1.825 -0.914 0.147
H -2.190 -0.521 1.180 -0.076
H 0.739 -2.188 0.012 0.041



60
Properties=species:S:1:pos:R:3:lowdin_charge:R:1 method="wB97M-V/def2-TZVPD" charge=+1 homo_ev=-10.5 energy_ev=-63681.755 max_force_ha_per_bohr=0.1755 gap_ev=4.9121
C 6.104 0.773 1.773 -0.122
C 6.234 1.337 0.208 -0.149
C 7.149 2.721 0.043 -0.031
C 7.403 3.446 -1.430 -0.048
C 6.635 2.718 -2.715 -0.061
C 5.716 1.331 -2.548 -0.016
C 5.504 0.576 -1.089 -0.080
C 4.631 -0.838 -0.903 -0.145
O 3.363 -0.647 -0.181 -0.098
C 2.277 -0.192 -1.063 -0.212
O 2.225 -0.338 -2.396 0.008
C 0.936 0.535 -0.377 0.040
C -0.560 0.341 -1.095 0.120
C -1.927 1.074 -0.472 -0.026
C -3.436 0.902 -1.147 -0.194
C -4.202 2.328 -1.424 -0.747
C -4.046 2.790 -2.994 -0.198
I -6.394 2.146 -1.073 0.757
N -1.797 1.955 0.783 0.062
C -0.463 2.142 1.498 0.055
C 0.970 1.451 0.982 -0.174
P 2.571 1.748 1.979 0.779
O 2.813 0.462 2.920 -0.489
H 7.063 0.168 2.061 0.092
H 5.980 1.662 2.533 0.087
H 5.144 0.065 1.758 0.060
H 7.643 3.218 0.981 0.088
H 8.080 4.397 -1.510 0.086
H 6.791 3.260 -3.763 0.088
H 5.230 0.923 -3.531 0.088
H 4.543 -1.435 -1.910 0.145
H 5.315 -1.511 -0.192 0.155
H -0.711 -0.322 -2.065 0.135
H -3.379 0.341 -2.181 0.133
H -4.120 0.279 -0.400 0.091
H -3.837 3.166 -0.665 0.081
H -4.837 3.581 -3.345 0.080
H -2.949 3.220 -3.117 0.095
H -4.111 1.840 -3.687 0.091
H -2.677 2.433 1.134 0.161
H -0.488 2.844 2.457 0.145
H 3.651 1.983 1.054 0.020
H 2.365 2.904 2.818 0.025
C -2.915 -1.783 1.775 -0.132
O -4.036 -1.714 0.906 -0.371
P -5.313 -2.865 1.093 0.804
O -5.540 -2.390 2.534 -0.209
O -4.200 -4.085 1.065 -0.316
C -3.706 -4.487 -0.195 -0.123
O -6.590 -4.017 1.281 -0.297
C -6.415 -5.096 2.185 -0.123
H -2.640 -0.767 2.068 0.077
H -3.107 -2.372 2.674 0.092
H -2.077 -2.225 1.229 0.083
H -2.615 -4.546 -0.145 0.091
H -3.987 -3.780 -0.984 0.080
H -4.099 -5.477 -0.436 0.093
H -5.872 -4.798 3.083 0.089
H -5.884 -5.910 1.681 0.086
H -7.402 -5.467 2.474 0.101



139
Properties=species:S:1:pos:R:3:lowdin_charge:R:1 method="wB97M-V/def2-TZVPD" charge=+1 homo_ev=-10.2 energy_ev=-168764.159 max_force_ha_per_bohr=0.1846 gap_ev=4.9226
C 5.249 -1.673 -0.558 -0.139
C 6.773 -1.030 -0.601 -0.568
Cl 7.296 -0.610 1.164 0.537
C 6.751 0.438 -1.401 -0.604
Cl 7.913 1.684 -0.599 0.551
O 7.147 0.252 -2.805 -0.100
C 6.702 1.359 -3.666 -0.253
O 7.502 2.202 -4.332 0.051
C 5.056 1.548 -3.873 -0.011
C 4.274 0.209 -4.490 0.068
C 2.647 0.348 -4.661 0.043
N 1.939 1.637 -4.278 0.073
C 2.593 2.880 -3.713 -0.040
C 1.784 4.260 -3.262 -0.143
C 0.210 3.972 -2.861 -0.214
C -0.263 4.834 -1.540 -0.195
C -1.507 4.151 -0.698 -0.210
C -2.842 3.892 -1.616 -0.207
C -4.023 3.015 -0.891 -0.205
C -4.499 1.679 -1.737 -0.248
C -4.257 0.257 -0.911 -0.272
Si -2.792 -0.754 -1.655 0.525
C -2.014 -2.020 -0.388 -0.204
C -1.365 0.550 -1.998 -0.224
C -3.179 -1.552 -3.386 -0.220
C -2.242 -2.848 -3.810 -0.060
C -2.544 -3.503 -5.317 -0.067
C -3.713 -2.818 -6.256 -0.080
C -4.663 -1.542 -5.810 -0.059
C -4.363 -0.897 -4.318 -0.059
C 4.233 2.910 -3.477 -0.413
Br 5.233 4.490 -2.736 0.760
____________

Completed =
Cl 7.296 -0.610 1.164 0.537
Cl 7.913 1.684 -0.599 0.551